Counter/Timer Operation
94 – CIO Chip
VL-486-4 Reference Manual
If a second match occurs while IP is already set, an error condition exists. If the Interrupt ON
Error bit (IOE) is 0, the match is ignored. However, if IOE is 1 after the first IP is cleared, the IP
is automatically set to 1 along with the Interrupt Error (ERR) flag. ERR is automatically cleared
when the corresponding IP is cleared by software.
When a pattern-match is present in the OR-Priority Encoded Vector mode, IP is set to 1. The IP
cannot be cleared until a match is no longer present. If the interrupt vector is allowed to include
status, the vector returned during Interrupt Acknowledge indicates the highest-priority bit
matching its specification at the time of the Acknowledge cycle. Bit 7 is the highest-priority bit
and bit 0 is the lowest-priority bit. The bit initially causing the interrupt may not be the one
indicated by the vector if a higher-priority bit matches before the Acknowledge. Once the
Interrupt Acknowledge cycle is initiated, the vector is frozen until the corresponding Interrupt
Under Service (IUS) is cleared. If an input that causes interrupts changes before the interrupt is
serviced, the 1’s catcher can be used to hold the value. Bits should not be specified with
transition detection, because the match will no longer be valid at the time of the Interrupt
Acknowledge. If no match is present at the time of the Acknowledge, the vector will indicate the
lowest-priority bit (Bit 0).
Because a no-match-to-match transition is not required, the source of the interrupt must be
cleared before IP is cleared or else a second interrupt is generated. No programmer error
detection is performed in this mode and the Interrupt on Error bit should be 0.
One application of the OR-PEV pattern match mode is to use the CIO as a Programmable
Interrupt Controller (PIC).
Counter/Timer Operation
The three independent 16-bit counter/timers each consist of a presettable 16-bit down-counter, a
16-bit Time Constant register, a 16-bit Current Counter register, an 8-bit Mode Specification
Materials data, kept here for reference:
=====
Compound: PaPt3Br
Source: OQMD via LeMat-Bulk
Functional: GGA-PBE
Structure: relaxed

Cell and atoms, written as extended XYZ:
```
10
Lattice="-3.3382 3.3382 5.0279 3.3382 -3.3382 5.0279 3.3382 3.3382 -5.0279" Properties=species:S:1:pos:R:3 pbc="T T T"
Br 0.0000 0.0000 0.0000
Br 0.0000 0.0000 5.0279
Pt 0.0000 0.0000 2.5139
Pt 0.0000 0.0000 7.5418
Pt -0.9572 2.3810 5.0279
Pt 0.9572 2.3810 0.0000
Pt 4.2954 0.9572 0.0000
Pt 2.3810 0.9572 5.0279
Pa 3.3382 0.0000 2.5139
Pa 0.0000 3.3382 2.5139
```

Values from the calculation:
- Total DFT energy (no corrections): -5.580 eV/atom
- ρ: 13.3 g/cm³
- Spin magnetization: 0.0095 μB per atom
- SG: No. 140

* * * * *

1.
4
Lattice="3.7395 0.0000 0.0000 0.0000 3.7827 0.0000 0.0000 0.0000 3.8758" Properties=species:S:1:pos:R:3 comment="GGA-PBE TiCoPtRh, optimized geometry" spacegroup=Pmmm total_energy_ev_per_atom=-7.7334 pbc="T T T"
Co 0.0000 1.8914 1.9379
Rh 1.8698 1.8914 0.0000
Ti 0.0000 0.0000 0.0000
Pt 1.8698 0.0000 1.9379

---

2.
4
Lattice="-0.3614 -4.0309 -1.5121 2.6947 -1.4049 -3.0709 3.0155 -2.9433 0.9535" Properties=species:S:1:pos:R:3 comment="GGA-PBE TiCoPtRh, optimized geometry" spacegroup=F-43m total_energy_ev_per_atom=-7.5124 pbc="T T T"
Rh 1.3372 -2.0948 -0.9074
Co 2.6744 -4.1895 -1.8147
Ti 0.0000 0.0000 0.0000
Pt 4.0116 -6.2843 -2.7221

---

3.
4
Lattice="3.7102 0.0000 0.0000 0.0000 3.7626 0.0000 0.0000 0.0000 3.8461" Properties=species:S:1:pos:R:3 comment="GGA-PBE VCoPtRh, optimized geometry" spacegroup=Pmmm total_energy_ev_per_atom=-7.7691 pbc="T T T"
Pt 0.0000 0.0000 0.0000
Rh 0.0000 1.8813 1.9231
Co 1.8551 1.8813 0.0000
V 1.8551 0.0000 1.9231

---

4.
20
Lattice="-2.9968 -7.0550 -1.7286 2.1659 0.1468 7.5518 -5.4285 5.5358 -1.2760" Properties=species:S:1:pos:R:3 comment="GGA-PBE V4Co3Pt12Rh, optimized geometry" spacegroup=Im-3 total_energy_ev_per_atom=-6.4319 pbc="T T T"
Pt -3.5009 -1.8057 4.4268
Co -4.2127 -0.7596 -1.5023
V 1.0829 0.0734 3.7759
Pt -4.4024 3.8965 0.7419
Pt -2.7586 0.4333 0.1204
Pt -6.6353 -0.2657 -1.2621
Co -1.6313 2.8413 3.1379
Pt -3.7542 -4.4958 -0.8988
Rh 0.0000 0.0000 0.0000
V -3.1298 -0.6862 2.2736
Pt -1.0040 0.5087 2.5583
Co -0.4155 -3.4541 2.9116
Pt -2.5053 3.1234 5.4460
Pt 0.3758 -1.1067 5.8093
Pt -4.7847 0.7178 3.4212
Pt -1.4748 -2.0902 1.1260
V -2.7143 2.7679 -0.6380
Pt -5.2555 -1.8811 1.9889
Pt -1.8571 -5.2689 3.8053
V -1.4984 -3.5275 -0.8643

---

5.
20
Lattice="3.7380 0.0000 0.0000 0.0000 8.5090 0.0000 0.0000 0.0000 8.5090" Properties=species:S:1:pos:R:3 comment="GGA-PBE V5Co2Pt2Rh, optimized geometry" spacegroup=P4/mbm total_energy_ev_per_atom=-8.0506 pbc="T T T"
Co 0.0000 3.2364 1.0181
V 1.8690 7.9099 1.7419
V 1.8690 0.0000 4.2545
V 1.8690 2.5126 4.8536
V 1.8690 3.6554 2.5126
Co 0.0000 7.4909 3.2364
V 1.8690 4.8536 5.9964
V 1.8690 4.2545 0.0000
Pt 0.0000 7.0149 5.7486
Pt 0.0000 1.4941 2.7604
Co 0.0000 5.2726 7.4909
V 1.8690 6.7671 7.9099
V 1.8690 0.5991 6.7671
Rh 0.0000 0.0000 0.0000
V 1.8690 1.7419 0.5991
Pt 0.0000 5.7486 1.4941
V 1.8690 5.9964 3.6554
=====
Here the text continues:
register, an 8-bit Command and Status register, and the associated control logic that links these
The flexibility of the counter/timers is enhanced by the provision of up to four lines per
counter/timer (counter input, gate input, trigger input, and counter/timer input) for direct external
control and status. Counter/Timer 1’s external I/O lines are provided by the four most-significant
bits of Port B. Counter/Timer 2’s external I/O lines are provided by the four least-significant bits
• These records of crystals were left in the article by mistake:
/*
(1)
DFT (PBEsol) results for crystalline SiPPt2 at its relaxed geometry.

It has space group F-43m (No. 216), with a = 6.175 Å, b = 6.175 Å, c = 6.175 Å, α = 90.00°, β = 90.00° and γ = 90.00°. The inequivalent atoms are Si at (0.000, 0.000, 0.000), P at (0.250, 0.250, 0.250), Pt at (0.000, 0.000, 0.500) and Pt at (0.250, 0.250, 0.750).

As for the total energy: -98.590 eV/cell. The calculation puts the density of states at the Fermi level at 0.87 states/eV per atom. The value obtained for the total magnetization is 0.0 μB/f.u.



(2)
DFT (PBEsol) results for crystalline SiPPt2 at its relaxed geometry.

It has space group C2/m (No. 12), with a = 7.309 Å, b = 2.845 Å, c = 5.775 Å, α = 90.00°, β = 101.95° and γ = 90.00°. The inequivalent atoms are Si at (0.000, 0.000, 0.000), P at (0.000, 0.500, 0.500) and Pt at (0.243, 0.500, 0.232).

As for the total energy: -53.231 eV/cell. The calculation puts the density of states at the Fermi level at 0.39 states/eV per atom. The value obtained for the total magnetization is 0.0 μB/f.u.



(3)
DFT (PBEsol) results for crystalline SiPPt2 at its relaxed geometry.

It has space group I-42d (No. 122), with a = 4.128 Å, b = 4.128 Å, c = 14.936 Å, α = 90.00°, β = 90.00° and γ = 90.00°. The inequivalent atoms are Si at (0.000, 0.000, 0.000), P at (0.000, 0.000, 0.500) and Pt at (0.239, 0.250, 0.625).

As for the total energy: -108.828 eV/cell. The calculation puts the density of states at the Fermi level at 0.37 states/eV per atom. The value obtained for the total magnetization is 0.0 μB/f.u.



(4)
DFT (PBEsol) results for crystalline SiP2Pt at its relaxed geometry.

It has space group Cmmm (No. 65), with a = 5.374 Å, b = 6.647 Å, c = 3.202 Å, α = 90.00°, β = 90.00° and γ = 90.00°. The inequivalent atoms are Si at (0.000, 0.000, 0.000), P at (0.250, 0.250, 0.500) and Pt at (0.000, 0.500, 0.000).

As for the total energy: -46.673 eV/cell. The calculation puts the density of states at the Fermi level at 0.37 states/eV per atom. The value obtained for the total magnetization is 0.0 μB/f.u.



(5)
DFT (PBEsol) results for crystalline SiP2Pt at its relaxed geometry.

It has space group Fmmm (No. 69), with a = 4.919 Å, b = 5.055 Å, c = 9.311 Å, α = 90.00°, β = 90.00° and γ = 90.00°. The inequivalent atoms are Si at (0.000, 0.000, 0.000), P at (0.000, 0.250, 0.250) and Pt at (0.000, 0.000, 0.500).

As for the total energy: -98.036 eV/cell. The calculation puts the density of states at the Fermi level at 0.38 states/eV per atom. The value obtained for the total magnetization is 0.0 μB/f.u.



(6)
DFT (PBEsol) results for crystalline SiP2Pt at its relaxed geometry.

It has space group I4/mmm (No. 139), with a = 4.270 Å, b = 4.270 Å, c = 6.275 Å, α = 90.00°, β = 90.00° and γ = 90.00°. The inequivalent atoms are Si at (0.000, 0.000, 0.000), P at (0.000, 0.500, 0.250) and Pt at (0.000, 0.000, 0.500).
*/
of Port B. Counter/Timer 3’s external I/O lines are provided by the four bits of Port C. The
utilization of these lines (Table 4-1) is programmable on a bit-by-bit basis via the Counter/Timer
Mode Specification registers.
When external counter/timer I/O lines are to be used, the associated port lines must be vacant
and programmed in the proper data direction. Lines used for counter/timer I/O have the same
characteristics as simple input lines. They can be specified as inverting or non-inverting, and can
be read and used with the pattern-recognition logic. They can also include the 1’s catcher input.